Input:
+++
1.
Ca3BiAs | GGA-PBE | optimized geometry

formation enthalpy at 0 K	-20.94	kcal/mol of atoms
total energy	-19.08	eV for the cell shown
mass density	3972	kg/m³
energy above the lowest structure with this stoichiometry	112	meV/atom

a b c (Å): 5.528 5.528 5.528
angles (deg): 90.00 90.00 90.00
Element x y z (fractional)
As1 0.000 0.000 0.000
Ca1 0.000 0.500 0.000
Ca2 0.000 0.000 0.500
Ca3 0.500 0.000 0.000
Bi1 0.500 0.500 0.500

2.
Ca2BiAs | GGA-PBE | optimized geometry

formation enthalpy at 0 K	-19.59	kcal/mol of atoms
total energy	-15.93	eV for the cell shown
mass density	5467	kg/m³

a b c (Å): 3.605 3.605 8.508
angles (deg): 90.00 90.00 90.00
Element x y z (fractional)
As1 0.500 0.500 0.000
Ca1 0.000 0.000 0.795
Ca2 0.000 0.000 0.205
Bi1 0.500 0.500 0.500

3.
Ca3BiAs | GGA-PBE | optimized geometry

formation enthalpy at 0 K	-20.41	kcal/mol of atoms
total energy	-37.92	eV for the cell shown
mass density	4033	kg/m³
energy above the lowest structure with this stoichiometry	135	meV/atom

a b c (Å): 5.399 7.623 8.939
angles (deg): 115.24 90.00 90.00
Element x y z (fractional)
Ca1 0.500 0.275 0.000
Ca2 0.000 0.845 0.689
Ca3 0.500 0.725 0.000
Ca4 0.500 0.500 0.500
Ca5 0.000 0.155 0.311
Ca6 0.500 0.000 0.500
Bi1 0.000 0.638 0.276
Bi2 0.000 0.362 0.724
As1 0.500 0.117 0.235
As2 0.500 0.883 0.765

4.
Ca4BiAs | GGA-PBE | optimized geometry

formation enthalpy at 0 K	-17.70	kcal/mol of atoms
total energy	-21.14	eV for the cell shown
mass density	3799	kg/m³

a b c (Å): 5.132 5.132 7.370
angles (deg): 89.98 89.99 90.00
Element x y z (fractional)
Ca1 0.501 0.997 0.268
Ca2 0.501 0.998 0.729
Ca3 0.001 0.497 0.729
Ca4 0.001 0.497 0.268
Bi1 0.501 0.497 0.998
As1 0.001 0.997 0.498

5.
Ca2BiAs | GGA-PBE | optimized geometry

formation enthalpy at 0 K	-18.79	kcal/mol of atoms
total energy	-15.79	eV for the cell shown
mass density	4931	kg/m³

a b c (Å): 4.043 4.043 8.970
angles (deg): 76.98 76.98 60.00
Element x y z (fractional)
As1 0.000 0.000 0.000
Ca1 0.267 0.267 0.198
Ca2 0.733 0.733 0.802
Bi1 0.500 0.500 0.500

6.
Ca3BiAs | GGA-PBE | optimized geometry

formation enthalpy at 0 K	-6.59	kcal/mol of atoms
total energy	-15.96	eV for the cell shown
mass density	3382	kg/m³
energy above the lowest structure with this stoichiometry	734	meV/atom

a b c (Å): 5.833 5.833 5.833
angles (deg): 90.00 90.00 90.00
Element x y z (fractional)
As1 0.500 0.500 0.500
Ca1 0.000 0.500 0.000
Ca2 0.000 0.000 0.500
Ca3 0.500 0.000 0.000
Bi1 0.000 0.000 0.000

7.
Ca3BiAs | GGA-PBE | optimized geometry

formation enthalpy at 0 K	-23.52	kcal/mol of atoms
total energy	-39.27	eV for the cell shown
mass density	4309	kg/m³
energy above the lowest structure with this stoichiometry	0	meV/atom

a b c (Å): 4.638 7.302 9.196
angles (deg): 90.00 90.00 90.00
Element x y z (fractional)
Ca1 0.750 0.750 0.073
Ca2 0.250 0.250 0.927
Ca3 0.750 0.991 0.661
Ca4 0.750 0.509 0.661
Ca5 0.250 0.009 0.339
Ca6 0.250 0.491 0.339
Bi1 0.750 0.250 0.152
Bi2 0.250 0.750 0.848
As1 0.750 0.750 0.395
As2 0.250 0.250 0.605

8.
CaBi2As2 | GGA-PBE | optimized geometry

formation enthalpy at 0 K	-0.54	kcal/mol of atoms
total energy	-19.18	eV for the cell shown
mass density	7109	kg/m³
energy above the lowest structure with this stoichiometry	273	meV/atom

a b c (Å): 3.793 3.793 10.227
angles (deg): 79.31 79.31 90.00
Element x y z (fractional)
As1 0.750 0.250 0.500
As2 0.250 0.750 0.500
Ca1 0.000 0.000 0.000
Bi1 0.389 0.389 0.221
Bi2 0.611 0.611 0.779

9.
CaBiAs | GGA-PBE | optimized geometry

formation enthalpy at 0 K	-13.11	kcal/mol of atoms
total energy	-24.48	eV for the cell shown
mass density	5940	kg/m³

a b c (Å): 4.278 4.278 10.185
angles (deg): 99.55 99.55 90.38
Element x y z (fractional)
Ca1 0.411 0.159 0.825
Ca2 0.159 0.411 0.325
Bi1 0.985 0.798 0.055
Bi2 0.798 0.985 0.555
As1 0.577 0.316 0.117
As2 0.316 0.577 0.617

10.
Ca6Bi4As | GGA-PBE | optimized geometry

formation enthalpy at 0 K	-18.34	kcal/mol of atoms
total energy	-81.87	eV for the cell shown
mass density	5314	kg/m³
+++

Assignment:
Give back the part of the contents earlier on that starts with the line with "3799" and stops after the one with "Bi1 0.389".

Done:
mass density	3799	kg/m³

a b c (Å): 5.132 5.132 7.370
angles (deg): 89.98 89.99 90.00
Element x y z (fractional)
Ca1 0.501 0.997 0.268
Ca2 0.501 0.998 0.729
Ca3 0.001 0.497 0.729
Ca4 0.001 0.497 0.268
Bi1 0.501 0.497 0.998
As1 0.001 0.997 0.498

5.
Ca2BiAs | GGA-PBE | optimized geometry

formation enthalpy at 0 K	-18.79	kcal/mol of atoms
total energy	-15.79	eV for the cell shown
mass density	4931	kg/m³

a b c (Å): 4.043 4.043 8.970
angles (deg): 76.98 76.98 60.00
Element x y z (fractional)
As1 0.000 0.000 0.000
Ca1 0.267 0.267 0.198
Ca2 0.733 0.733 0.802
Bi1 0.500 0.500 0.500

6.
Ca3BiAs | GGA-PBE | optimized geometry

formation enthalpy at 0 K	-6.59	kcal/mol of atoms
total energy	-15.96	eV for the cell shown
mass density	3382	kg/m³
energy above the lowest structure with this stoichiometry	734	meV/atom

a b c (Å): 5.833 5.833 5.833
angles (deg): 90.00 90.00 90.00
Element x y z (fractional)
As1 0.500 0.500 0.500
Ca1 0.000 0.500 0.000
Ca2 0.000 0.000 0.500
Ca3 0.500 0.000 0.000
Bi1 0.000 0.000 0.000

7.
Ca3BiAs | GGA-PBE | optimized geometry

formation enthalpy at 0 K	-23.52	kcal/mol of atoms
total energy	-39.27	eV for the cell shown
mass density	4309	kg/m³
energy above the lowest structure with this stoichiometry	0	meV/atom

a b c (Å): 4.638 7.302 9.196
angles (deg): 90.00 90.00 90.00
Element x y z (fractional)
Ca1 0.750 0.750 0.073
Ca2 0.250 0.250 0.927
Ca3 0.750 0.991 0.661
Ca4 0.750 0.509 0.661
Ca5 0.250 0.009 0.339
Ca6 0.250 0.491 0.339
Bi1 0.750 0.250 0.152
Bi2 0.250 0.750 0.848
As1 0.750 0.750 0.395
As2 0.250 0.250 0.605

8.
CaBi2As2 | GGA-PBE | optimized geometry

formation enthalpy at 0 K	-0.54	kcal/mol of atoms
total energy	-19.18	eV for the cell shown
mass density	7109	kg/m³
energy above the lowest structure with this stoichiometry	273	meV/atom

a b c (Å): 3.793 3.793 10.227
angles (deg): 79.31 79.31 90.00
Element x y z (fractional)
As1 0.750 0.250 0.500
As2 0.250 0.750 0.500
Ca1 0.000 0.000 0.000
Bi1 0.389 0.389 0.221